I'm pretty much caught up on both the Adventure Series (with the latest wave including Temple of Doom and Dial of Destiny figures), and the retro 3.75 line with Henry Sr and Sallah.
I built the Skull Altar for the Sankara stones, with the final pieces coming from hypnotized Indy. He has two sets of stones, three each of glowing and non-glowing. I put the glowing stones into the display, but man, that was a comedy of errors. It was so difficult and I felt so clumsy doing it! So the nose "shelf" has a back wall to it. There's one stone that's slightly smaller, and it fits there no problem. The back wall keeps it from falling into the hollow skull. However, the eye sockets have no back. So putting the stones in them was nearly impossible. If one falls into the hollow, you need to shake it out like a guitar pick in a guitar. So you start all over again. Maybe you get one stone in one eye, but then you gotta deal with the second stone. If that falls out, you start all over again! It took me like 15 minutes to get them in, I was cracking up.
I finished up finding the Adventure Series too during the blackout. Was really nice to finally find Toht and DoD Indy. The Ark looks great all put together.
Ironically, the only pieces I haven't put up yet are the Sankara Stones. I've decided that whenever I do, I'm just going to glue them in place. With how small they are and how much my cat loves to knock things over, they'd be gone in a day. It happened with my poor Daenerys figure way back when- lost all 3 of her eggs and was only ever able to recover 2. 1 is still floating around out there somewhere.
I did get a notification from Amazon that the Brody/Belloq 2 pack is supposedly shipping next week. That would be nice if so!
Had to cancel a majority of pre-orders of Hasbro stuff since it was all coming in at the same time. I cancelled Cairo Indy in the hopes that he gets discounted as well as Brody and Belloq. I did manage to complete the second BaA though. Like all those figures.
So I still need Kazim, Cairo Indy, Brody, Belloq, and Map Room Indy. Hoping that the current final wave doesn't release until at least October, because I need the school year to start before spending anymore money!
I've got the whole Temple Of Doom wave pre-ordered at Entertainment Earth, but I've managed to find Black Sleep Indy and Shorty in-store and I love them both. My favorite thing about this line is the accessories, for sure, and those two come with some real winners.
## Attached: quantum chemistry results
Record 1
The following is a DFT calculation (ωB97M-V/def2-TZVPD) of a structure of composition C22H44O38S10 in a non-equilibrium geometry.

Cartesian coordinates (Å):
C (3.570, 1.874, -4.512)
C (2.858, 0.659, -5.142)
O (1.819, 0.338, -4.034)
S (2.401, 0.647, -2.639)
O (2.799, -0.514, -1.893)
O (1.524, 1.546, -1.990)
O (3.787, 1.392, -3.097)
H (3.014, 2.764, -4.492)
H (4.573, 2.041, -4.999)
H (3.524, -0.198, -5.155)
H (2.233, 0.706, -6.016)
C (-2.183, -1.104, -5.562)
C (-2.529, -2.523, -5.050)
O (-3.297, -2.238, -3.869)
S (-4.185, -0.983, -4.166)
O (-3.937, -0.091, -3.059)
O (-5.544, -1.221, -4.411)
O (-3.518, -0.522, -5.526)
H (-1.928, -1.000, -6.612)
H (-1.427, -0.534, -4.989)
H (-1.599, -3.080, -4.892)
H (-3.275, -3.020, -5.677)
C (2.199, -2.974, -3.402)
C (1.885, -4.458, -3.436)
O (1.928, -4.877, -4.827)
S (2.559, -3.711, -5.727)
O (1.474, -3.109, -6.443)
O (3.656, -4.264, -6.414)
O (3.087, -2.716, -4.595)
H (2.740, -2.747, -2.464)
H (1.464, -2.236, -3.594)
H (0.994, -4.819, -2.909)
H (2.810, -4.955, -2.920)
C (-6.338, -2.167, -0.323)
C (-4.899, -2.460, -0.734)
O (-4.234, -2.923, 0.469)
S (-4.693, -1.839, 1.550)
O (-3.957, -0.641, 1.327)
O (-4.764, -2.294, 2.874)
O (-6.153, -1.526, 1.039)
H (-7.072, -2.971, -0.249)
H (-6.775, -1.385, -0.946)
H (-4.372, -1.555, -1.034)
H (-4.768, -3.209, -1.578)
C (1.584, -1.649, 4.233)
C (2.931, -2.367, 4.481)
O (3.928, -1.602, 3.933)
S (3.472, -0.098, 3.879)
O (3.653, 0.255, 2.551)
O (4.125, 0.630, 4.893)
O (1.965, -0.212, 4.235)
H (0.846, -1.727, 4.998)
H (1.114, -1.912, 3.278)
H (3.013, -3.368, 4.124)
H (3.115, -2.463, 5.547)
C (1.689, 4.442, 4.149)
C (0.864, 5.549, 3.518)
O (0.319, 6.330, 4.586)
S (0.582, 5.568, 5.987)
O (-0.483, 4.577, 6.127)
O (0.788, 6.511, 7.003)
O (1.989, 4.900, 5.527)
H (2.675, 4.389, 3.665)
H (1.143, 3.483, 4.210)
H (0.068, 5.323, 2.829)
H (1.574, 6.186, 3.044)
C (-0.950, 3.253, -2.518)
C (-1.486, 2.209, -3.464)
O (-1.478, 2.929, -4.801)
S (-0.247, 3.826, -4.827)
O (-0.599, 5.140, -5.350)
O (0.821, 3.080, -5.388)
O (0.086, 3.952, -3.266)
H (-0.430, 2.746, -1.711)
H (-1.643, 4.048, -2.294)
H (-2.459, 1.773, -3.258)
H (-0.704, 1.350, -3.493)
C (-1.400, 0.781, 0.691)
C (0.086, 0.510, 0.670)
O (0.296, -0.800, 0.091)
S (-0.868, -1.128, -0.929)
O (-1.442, -2.409, -0.681)
O (-0.406, -0.786, -2.258)
O (-1.846, 0.036, -0.498)
H (-1.678, 1.814, 0.676)
H (-1.861, 0.289, 1.573)
H (0.539, 0.344, 1.611)
H (0.496, 1.363, 0.167)
C (4.948, -1.954, 0.587)
C (3.405, -2.034, 0.647)
O (3.125, -3.286, -0.107)
S (4.158, -4.326, 0.565)
O (4.505, -5.313, -0.374)
O (3.714, -4.744, 1.855)
O (5.386, -3.307, 0.783)
H (5.277, -1.119, 1.255)
H (5.287, -1.696, -0.482)
H (2.909, -1.249, 0.071)
H (2.983, -2.150, 1.641)
C (-2.319, 2.199, 6.294)
C (-3.631, 1.714, 5.576)
C (-3.207, 1.238, 4.229)
S (-1.401, 1.155, 4.121)
O (-0.905, 2.216, 3.286)
O (-0.951, -0.145, 3.818)
C (-1.098, 1.447, 5.832)
H (-2.549, 1.919, 7.350)
H (-2.231, 3.284, 6.200)
H (-4.416, 2.529, 5.639)
H (-3.953, 0.829, 6.127)
H (-3.505, 1.884, 3.420)
I'm holding out a fool's hope for Mola Ram and Willie at some point in the future. It seems like they've got a snowball's chance in hell, but I'll cling to whatever tiny sliver I can since the line will be woefully incomplete without them, IMO.
I really love this line, my favorite thing going right now. Amazon shipped my Brody Belloq two pack, supposed to be here tomorrow.
I didn’t realize Brody 2 pack was out. Need to figure out who I preordered it from. Hopefully they get their shipment soon.
I know it is probably a fools hope but I am really hoping they announce at least a few more figures before they end it.
I just placed an order for Brody/Belloq at Amazon, now hearing that they're shipping. Once I receive it, or at least once it ships, ETA next week, I'll cancel my Pulse PO which is still ETA November.
I really love this line, my favorite thing going right now. Amazon shipped my Brody Belloq two pack, supposed to be here tomorrow.
Thanks for the notice! Going to place an order. I just got caught up on this line, I want to stay caught up ha.
Got my shipping notice for Brody/Belloq as well, to be delivered today.
Count me in among those hoping for more. I quite like the Indiana Jones movies, though not as much as a lot of folks. If they don't get around to the missing characters or KOTCS, I don't know if I'll keep what I've gotten so far. Not sure if the completionist in me would allow it. 😓 Would feel strange only having 2 characters from Temple of Doom, so I'd probably offload those, and then it would feel weird only having figures from 2 of 5 movies (even if they are considered the "best" of the franchise). I don't know- I'd have to see. There's enough missing for at least 2 more waves, or a wave and a couple 2 packs/deluxes/exclusives. Don't leave us out to dry, Hasbro!
I've got the whole Temple Of Doom wave pre-ordered at Entertainment Earth, but I've managed to find Black Sleep Indy and Shorty in-store and I love them both. My favorite thing about this line is the accessories, for sure, and those two come with some real winners.
I'm holding out a fool's hope for Mola Ram and Willie at some point in the future. It seems like they've got a snowball's chance in hell, but I'll cling to whatever tiny sliver I can since the line will be woefully incomplete without them, IMO.
I'm desperately hoping they churn out out a Willie and Mola Ram two-pack.
If Mola Ram is truly off the table then I really hope they'd at least give us Willie.
Maybe a Willie and Lao Che two-pack?
I really don't want this line to end.
Mola Ram I "get", but why is Willie seemingly off the table?
Mola Ram I "get", but why is Willie seemingly off the table?
I would get it as well except that they did make a new 3.75" Mola Ram. Why that one but no 6" version? 😕
The 4” Mola Ram was an SDCC exclusive, along with the rest of the ToD wave, if I remember. I think today Hasbro is leaning more towards cultural sensitivity, which puts a character like Mola Ram into controversial territory. That could be a reason they are being conservative with his release. No idea why for Willie though. Cleavage?
Mola Ram wasn't part of the SDCC exclusives, he was just in the final retail wave which was basically online only since no retailers carried it.
I imagine they had Mola planned and scrapped him for whatever reason, and instead of new tooling for Willie they went with Hypnotized Indy as it would be cheaper for them to produce.
Hopeful that we will get an Indy exclusive at Pulse Con... preferably a two pack of Mola Ram and Willie. If not those I'd also take some of the other 4 inch figures from the original trilogy that haven't been made yet like German Mechanic, Marion in her white dress and Satipo.
Some wave for IJ was SDCC only though, right? I have a big shipper that I saved after I took the exclusive figures out, but filled it with one Indy from each movie instead. So I don't remember what was originally in it. RotLA figures?